Guest Editorial: Pressure Injury Brexit?
Christopher Columbus initially was scorned because he believed an alternative trade route to the East existed. Like most groundbreaking exploration, Columbus’ came with unintended consequences. His serendipitous findings: a new land. The consequence? Transmitting devastating illnesses with massive population loss to indigenous people.
The following is a GGA-PBE calculation of an optimized crystal structure of HfMg6CO8, from Materials Project.

Results
calculated volume: 166 Å³/cell
distance to the lowest polymorph of the same formula: 0.0 meV/atom
total DFT energy (no corrections): -6.32 eV per atom
ρ: 4.64 g/cm3

Unit cell a=9.2867 b=4.2293 c=4.2293 alpha=90.00 beta=90.00 gamma=90.00
Positions (direct):
1 Hf 0.0000 0.5000 0.5000
2 Mg 0.5000 0.0000 0.0000
3 Mg 0.5000 0.5000 0.5000
4 Mg 0.2596 0.0000 0.5000
5 Mg 0.7404 0.0000 0.5000
6 Mg 0.2596 0.5000 0.0000
7 Mg 0.7404 0.5000 0.0000
8 C 0.0000 0.0000 0.0000
9 O 0.2845 0.0000 0.0000
10 O 0.7155 0.0000 0.0000
11 O 0.2371 0.5000 0.5000
12 O 0.7629 0.5000 0.5000
13 O 0.0000 0.0000 0.5000
14 O 0.5000 0.0000 0.5000
15 O 0.0000 0.5000 0.0000
16 O 0.5000 0.5000 0.0000
== End of the calculated crystals ==
Metaphors regarding unintended consequences can be drawn to the recent National Pressure Ulcer Advisory Panel (NPUAP) 2016 Staging Consensus meeting held in April of this year. The Panel members are all distinguished leaders in pressure ulcer research, practice, management, and academia. They analyzed more than 3000 articles to determine what the latest literature has added to our knowledge of pressure-induced tissue injury since the last update in 2014. Revising the current staging system was a labor-intensive, thorough, and time-consuming endeavor.
It takes courage and leadership to put in Herculean efforts and then have others call your baby ugly. The NPUAP responded on their website ( to numerous concerns with the recent update. Resistance to the updated staging system is being voiced for a variety of reasons and may boil down to Lewin’s Change Theory1 (ie, only babies with wet diapers like change). Simply put, successful change requires a process of unfreezing behavior, implementing the change, and refreezing the new behaviors. However, specific content and implementation issues with the document need addressing:
- Pressure ulcer litigation concerns eloquently expressed in detail by Dr. Caroline Fife2;
- No recognition of the descriptor pressure injury in the ICD 10 coding system. Coders and auditors have been advised that additional queries will be made to the provider when pressure injury is used3;
- How different health care settings must “ignore” new evidence recommended by the experts until the Center for Medicare and Medicaid Services mandates legally change the MDS 3.0 in long-term care and the OASIS-C in home health and Acute Rehab use of the Inpatient Rehab Facility-Patient Assessment Form;
- Pathophysiology of pressure-induced tissue damage2,4;
- Histology that suggests granulation tissue presents in dermal wounds, contrary to the updated Stage 2 definition. Our burn colleagues recognize the difference between superficial papillary dermal and deep reticular dermal burns. Dermatological texts and our own wound literature5 already have recognized granulation tissue can be generated from deep partial-thickness wounds; and
- Difficulty in interpreting research and comparing outcomes related to medical device-related pressure injuries in different care settings.6
Should the consensus meeting have taken place? Absolutely. Knowing the sheer volume of literature reviewed for this project and having participated in content validation studies, I can say with some assurance that while some consensus meeting participants were intimately familiar with the research leading up to the decisions, that likely is not true for all in the voting audience. Dissemination of material before the meeting would have allowed many attendees to better prepare.
The unfreezing aspect of the change process might have been better handled by working with the partners with whom the NPUAP has done so well in the past — namely, the European Pressure Ulcer Advisory Panel (EPUAP) and the Pan Pacific Pressure Injury Alliance (PPPIA). Although the Academy of Nutrition and Dietetics and the Wound, Ostomy, Continence Nurses Society7 (WOCN) support the changes, the WOCN8 was forthright in identifying at least one of the unintended consequences the consensus meeting has now brought to the table: ICD 10 coding.
Other “missing” organizations (the Association for Advancement of Wound Care [AAWC], American Professional Wound Care Association [APWCA], World Council of Enterostomal Therapists [WCET], and the Wound Healing Society [WHS]) officially have remained silent, although many prominent members, including Dr. Gregory Bohn,4 the current AAWC president, have made their personal concerns about the recent changes known. We are such a small wound care world; what was to be gained by not obtaining consensus from these organizations?
More concerning to me is the absence of wholehearted agreement among the NPUAP partners who developed the 2014 International Pressure Ulcer Guidelines. The EPUAP has the issue under discussion.9 An arm of the PPPIA, the Australian Wound Management Association10 (AWMA) “strongly recommend[s] that members continue to use the definitions for pressure injury staging as outlined in the Pan Pacific Clinical Practice Guideline for the Prevention and Management of Pressure Injury (2011) and the joint NPUAP, EPUAP, and PPPIA Prevention and Treatment of Pressure Ulcers: Clinical Practice Guideline (referred to as the International Guideline) (2014), until the revised joint International Guideline is published in 2019. This review will commence in 2017 and will afford an opportunity to examine the proposed NPUAP definition changes in line with the evidence in the literature and expanded consensus development.”
The NPUAP has reiterated it is in discussions with a variety of agencies regarding the impact of the changes. But how many of these unintended consequences had been anticipated before the Consensus meeting? Practicing clinicians, industry partners, and regulators all look to the NPUAP to translate the evidence base for the everyday user. Many of the issues are related to how the change process has been managed.
A “pressure injury Brexit” has occurred, and the global wound community has been profoundly affected. Why didn’t the NPUAP wait for its partners? At the very least, floating a trial balloon about their findings to those affected — bedside clinicians, regulators, and industry — would have allowed people to begin to prepare. Incredible amounts of financial and personnel resources will be spent translating evidence into practice. The fault of the NPUAP is one of implementation. As Benjamin Franklin said, “Failure to plan is a plan to fail.”
We can applaud the NPUAP, the conference attendees, and those who have taken time to professionally convey the challenges and opportunities to improve the pressure-induced tissue staging system. But a true consensus involves working together to foresee/address unintended consequences.
1. Sunderland K. Applying Lewin’s Change Management Theory to the Implementation of Bar-Coded Medication Administration. Can J Nurs Informatics. 2013;8(1&2). Available at: Accessed June 15, 2016.
2. Fife C. Wound Source Blog. National Pressure Ulcer Advisory Panel (NPUAP) announces a change in terminology from pressure ulcer to pressure injury and updates the stages of pressure injury. Available at: Accessed June 12, 2016.
3. Medicare Compliance Watch. May 20, 2016. Available at: Accessed: June 6, 2016.
4. Bohn G. Can We Talk? Pressure injury replaces pressure ulcer: provider thoughts on changes to pressure ulcer staging. Ostomy Wound Manage. 2016;62(5):47–48.
5. Brown-Etris M. Measuring healing in wounds. Adv Wound Care.1995;8(4 suppl):53–58.
6. Saleh MYN. The hidden risk of medical-device related pressure ulcers. Wounds Middle East. 2016;3(1):5–7.
7. National Pressure Ulcer Advisory Panel. News/Hot Topics. WOCN Society and Academy of Nutrition and Dietetics Support New Staging System and Terminology. Available at: Accessed June 25, 2016.
8. Wound, Ostomy, Continence Nurses Society. NPUAP Terminology Update. Available at: Accessed June 24, 2016.
9. European Pressure Ulcer Advisory Panel. EPUAP Position on ‘Pressure Injury’ Terminology Change. Available at: Accessed June 21, 2016.
10. Australian Wound Management Association. NPUAP Revised Pressure Injury Definitions Released on 14 May, 2016. Available at: Accessed June 23, 2016.
This article was not subject to the Ostomy Wound Management peer-review process.